• Contents:
********
No. 1
109
Properties=species:S:1:pos:R:3 method="wB97M-V/def2-TZVPD" fmax_ev_per_a=2.1 e_tot_ev=-85402.7298 s_squared=2.047 spin_multiplicity=3
Mo -0.866 -0.026 -0.273
C 2.811 -4.150 -8.195
O 2.375 -4.890 -7.074
C 1.845 -4.195 -6.033
C 1.874 -2.811 -5.916
C 1.292 -2.201 -4.813
C 0.684 -2.949 -3.812
C 0.666 -4.341 -3.941
C 1.240 -4.956 -5.035
C 0.028 -2.255 -2.676
C -1.117 -1.493 -2.939
C -1.873 -1.652 -4.149
C -3.039 -0.989 -3.983
C -2.978 -0.329 -2.712
N -1.802 -0.680 -2.065
C -3.886 0.595 -2.246
C -3.632 1.357 -1.080
C -4.376 2.456 -0.635
C -3.827 2.865 0.575
C -2.765 2.012 0.836
C -2.007 1.863 2.118
C -2.484 2.850 3.160
C -3.745 2.706 3.723
C -4.248 3.651 4.606
C -3.484 4.765 4.930
O -3.886 5.749 5.775
C -5.237 5.744 6.187
C -2.219 4.915 4.369
C -1.729 3.970 3.489
C -2.119 0.420 2.507
N -1.562 -0.481 1.650
C -1.558 -1.696 2.330
C -0.794 -2.810 1.939
C -0.832 -4.013 2.815
C -0.125 -4.098 4.013
C -0.261 -5.203 4.830
C -1.119 -6.242 4.476
O -1.209 -7.266 5.362
C -2.121 -8.304 5.067
C -1.810 -6.179 3.271
C -1.655 -5.069 2.450
C -0.068 -2.853 0.774
C 0.865 -3.868 0.390
C 1.201 -3.645 -0.906
C 0.403 -2.539 -1.361
N -0.246 -1.977 -0.289
C -2.192 -1.532 3.571
C -2.529 -0.192 3.686
N -2.592 1.121 -0.193
C -5.185 0.800 -2.930
C -5.309 1.124 -4.275
C -6.554 1.261 -4.877
C -7.710 1.088 -4.129
O -8.970 1.206 -4.618
C -9.112 1.574 -5.976
C -7.604 0.775 -2.774
C -6.365 0.631 -2.190
H 3.091 -4.881 -8.948
H 3.676 -3.524 -7.961
H 2.008 -3.518 -8.586
H 2.354 -2.201 -6.670
H 1.332 -1.125 -4.707
H 0.164 -4.941 -3.193
H 1.223 -6.033 -5.149
H -1.560 -2.246 -4.991
H -3.874 -0.966 -4.661
H -5.205 2.906 -1.154
H -4.146 3.684 1.195
H -4.354 1.855 3.449
H -5.231 3.504 5.033
H -5.377 6.655 6.763
H -5.469 4.884 6.822
H -5.913 5.752 5.328
H -1.638 5.787 4.641
H -0.753 4.105 3.043
H 0.533 -3.289 4.306
H 0.280 -5.282 5.765
H -2.068 -9.000 5.899
H -1.849 -8.822 4.144
H -3.143 -7.924 4.980
H -2.475 -6.974 2.963
H -2.197 -5.017 1.514
H 1.219 -4.653 1.040
H 1.898 -4.195 -1.515
H -2.322 -2.305 4.310
H -2.962 0.290 4.546
H -4.423 1.316 -4.866
H -6.602 1.505 -5.930
H -10.181 1.629 -6.163
H -8.668 0.828 -6.640
H -8.658 2.550 -6.171
H -8.514 0.650 -2.201
H -6.297 0.367 -1.144
O 4.747 -0.459 2.245
C 3.543 -0.144 1.748
C 2.520 0.410 2.504
C 1.291 0.646 1.920
N 1.007 0.290 0.653
C 2.068 -0.053 -0.112
C 3.322 -0.295 0.380
C 1.756 0.068 -1.583
O 2.614 -0.054 -2.428
O 0.515 0.391 -1.763
C 0.272 1.429 2.649
O 0.248 1.582 3.833
O -0.589 2.025 1.776
H 4.785 -0.257 3.186
H 2.653 0.703 3.539
H 4.119 -0.579 -0.294


No. 2
126
Properties=species:S:1:pos:R:3 method="wB97M-V/def2-TZVPD" relative_energy_ev=3.342 fmax_ev_per_a=1.9 s_squared=0.780 spin_multiplicity=2
Ti 0.301 0.338 -0.228
O 0.705 -1.233 0.655
C 1.912 -1.915 0.560
C 2.921 -0.983 -0.038
C 4.281 -1.085 0.203
C 5.130 -0.161 -0.432
C 4.599 0.818 -1.207
C 3.142 0.971 -1.342
N 2.342 -0.070 -0.797
H -0.488 -2.200 0.486
H 1.811 -2.798 -0.088
H 2.257 -2.264 1.544
H 4.680 -1.871 0.819
H 6.198 -0.256 -0.317
H 5.213 1.504 -1.769
H 2.866 1.204 -2.377
Cl -6.467 2.466 2.251
C -4.947 1.714 1.934
C -3.936 2.445 1.327
C -2.746 1.810 1.053
Cl -1.431 2.614 0.302
C -2.480 0.458 1.353
O -1.342 -0.086 1.073
C -3.534 -0.212 2.005
Cl -3.295 -1.837 2.493
C -4.744 0.388 2.283
H -4.079 3.482 1.071
H -5.521 -0.180 2.771
C 1.381 3.700 4.715
Ge 0.753 3.649 2.804
C 2.030 4.836 1.809
C -0.954 4.710 2.689
Ge 0.706 1.085 2.265
C 2.529 0.516 2.981
C 2.824 -0.727 3.530
C 4.112 -1.062 3.911
C 5.143 -0.152 3.759
C 4.865 1.107 3.259
C 3.577 1.425 2.871
C -0.555 0.477 3.734
C -0.651 -0.832 4.195
C -1.558 -1.187 5.178
C -2.424 -0.241 5.701
C -2.375 1.059 5.232
C -1.447 1.406 4.265
H 1.494 4.732 5.033
H 2.343 3.210 4.818
H 0.684 3.210 5.385
H 1.901 5.829 2.233
H 1.817 4.897 0.745
H 3.070 4.551 1.929
H -1.028 5.335 3.573
H -1.853 4.111 2.619
H -0.917 5.357 1.820
H 2.036 -1.447 3.689
H 4.318 -2.035 4.332
H 6.149 -0.416 4.045
H 5.649 1.845 3.183
H 3.380 2.420 2.498
H -0.013 -1.597 3.775
H -1.602 -2.206 5.537
H -3.138 -0.518 6.463
H -3.054 1.810 5.614
********

• Wanted:
Please restate the whole of the material above without additions.

• Completed:
No. 1
109
Properties=species:S:1:pos:R:3 method="wB97M-V/def2-TZVPD" fmax_ev_per_a=2.1 e_tot_ev=-85402.7298 s_squared=2.047 spin_multiplicity=3
Mo -0.866 -0.026 -0.273
C 2.811 -4.150 -8.195
O 2.375 -4.890 -7.074
C 1.845 -4.195 -6.033
C 1.874 -2.811 -5.916
C 1.292 -2.201 -4.813
C 0.684 -2.949 -3.812
C 0.666 -4.341 -3.941
C 1.240 -4.956 -5.035
C 0.028 -2.255 -2.676
C -1.117 -1.493 -2.939
C -1.873 -1.652 -4.149
C -3.039 -0.989 -3.983
C -2.978 -0.329 -2.712
N -1.802 -0.680 -2.065
C -3.886 0.595 -2.246
C -3.632 1.357 -1.080
C -4.376 2.456 -0.635
C -3.827 2.865 0.575
C -2.765 2.012 0.836
C -2.007 1.863 2.118
C -2.484 2.850 3.160
C -3.745 2.706 3.723
C -4.248 3.651 4.606
C -3.484 4.765 4.930
O -3.886 5.749 5.775
C -5.237 5.744 6.187
C -2.219 4.915 4.369
C -1.729 3.970 3.489
C -2.119 0.420 2.507
N -1.562 -0.481 1.650
C -1.558 -1.696 2.330
C -0.794 -2.810 1.939
C -0.832 -4.013 2.815
C -0.125 -4.098 4.013
C -0.261 -5.203 4.830
C -1.119 -6.242 4.476
O -1.209 -7.266 5.362
C -2.121 -8.304 5.067
C -1.810 -6.179 3.271
C -1.655 -5.069 2.450
C -0.068 -2.853 0.774
C 0.865 -3.868 0.390
C 1.201 -3.645 -0.906
C 0.403 -2.539 -1.361
N -0.246 -1.977 -0.289
C -2.192 -1.532 3.571
C -2.529 -0.192 3.686
N -2.592 1.121 -0.193
C -5.185 0.800 -2.930
C -5.309 1.124 -4.275
C -6.554 1.261 -4.877
C -7.710 1.088 -4.129
O -8.970 1.206 -4.618
C -9.112 1.574 -5.976
C -7.604 0.775 -2.774
C -6.365 0.631 -2.190
H 3.091 -4.881 -8.948
H 3.676 -3.524 -7.961
H 2.008 -3.518 -8.586
H 2.354 -2.201 -6.670
H 1.332 -1.125 -4.707
H 0.164 -4.941 -3.193
H 1.223 -6.033 -5.149
H -1.560 -2.246 -4.991
H -3.874 -0.966 -4.661
H -5.205 2.906 -1.154
H -4.146 3.684 1.195
H -4.354 1.855 3.449
H -5.231 3.504 5.033
H -5.377 6.655 6.763
H -5.469 4.884 6.822
H -5.913 5.752 5.328
H -1.638 5.787 4.641
H -0.753 4.105 3.043
H 0.533 -3.289 4.306
H 0.280 -5.282 5.765
H -2.068 -9.000 5.899
H -1.849 -8.822 4.144
H -3.143 -7.924 4.980
H -2.475 -6.974 2.963
H -2.197 -5.017 1.514
H 1.219 -4.653 1.040
H 1.898 -4.195 -1.515
H -2.322 -2.305 4.310
H -2.962 0.290 4.546
H -4.423 1.316 -4.866
H -6.602 1.505 -5.930
H -10.181 1.629 -6.163
H -8.668 0.828 -6.640
H -8.658 2.550 -6.171
H -8.514 0.650 -2.201
H -6.297 0.367 -1.144
O 4.747 -0.459 2.245
C 3.543 -0.144 1.748
C 2.520 0.410 2.504
C 1.291 0.646 1.920
N 1.007 0.290 0.653
C 2.068 -0.053 -0.112
C 3.322 -0.295 0.380
C 1.756 0.068 -1.583
O 2.614 -0.054 -2.428
O 0.515 0.391 -1.763
C 0.272 1.429 2.649
O 0.248 1.582 3.833
O -0.589 2.025 1.776
H 4.785 -0.257 3.186
H 2.653 0.703 3.539
H 4.119 -0.579 -0.294


No. 2
126
Properties=species:S:1:pos:R:3 method="wB97M-V/def2-TZVPD" relative_energy_ev=3.342 fmax_ev_per_a=1.9 s_squared=0.780 spin_multiplicity=2
Ti 0.301 0.338 -0.228
O 0.705 -1.233 0.655
C 1.912 -1.915 0.560
C 2.921 -0.983 -0.038
C 4.281 -1.085 0.203
C 5.130 -0.161 -0.432
C 4.599 0.818 -1.207
C 3.142 0.971 -1.342
N 2.342 -0.070 -0.797
H -0.488 -2.200 0.486
H 1.811 -2.798 -0.088
H 2.257 -2.264 1.544
H 4.680 -1.871 0.819
H 6.198 -0.256 -0.317
H 5.213 1.504 -1.769
H 2.866 1.204 -2.377
Cl -6.467 2.466 2.251
C -4.947 1.714 1.934
C -3.936 2.445 1.327
C -2.746 1.810 1.053
Cl -1.431 2.614 0.302
C -2.480 0.458 1.353
O -1.342 -0.086 1.073
C -3.534 -0.212 2.005
Cl -3.295 -1.837 2.493
C -4.744 0.388 2.283
H -4.079 3.482 1.071
H -5.521 -0.180 2.771
C 1.381 3.700 4.715
Ge 0.753 3.649 2.804
C 2.030 4.836 1.809
C -0.954 4.710 2.689
Ge 0.706 1.085 2.265
C 2.529 0.516 2.981
C 2.824 -0.727 3.530
C 4.112 -1.062 3.911
C 5.143 -0.152 3.759
C 4.865 1.107 3.259
C 3.577 1.425 2.871
C -0.555 0.477 3.734
C -0.651 -0.832 4.195
C -1.558 -1.187 5.178
C -2.424 -0.241 5.701
C -2.375 1.059 5.232
C -1.447 1.406 4.265
H 1.494 4.732 5.033
H 2.343 3.210 4.818
H 0.684 3.210 5.385
H 1.901 5.829 2.233
H 1.817 4.897 0.745
H 3.070 4.551 1.929
H -1.028 5.335 3.573
H -1.853 4.111 2.619
H -0.917 5.357 1.820
H 2.036 -1.447 3.689
H 4.318 -2.035 4.332
H 6.149 -0.416 4.045
H 5.649 1.845 3.183
H 3.380 2.420 2.498
H -0.013 -1.597 3.775
H -1.602 -2.206 5.537
H -3.138 -0.518 6.463
H -3.054 1.810 5.614